Entries
- - -
{
  "formula": "C37H36AsCl3GdN2O7PS2",
  "method": "wB97M-V/def2-TZVPD",
  "spin_multiplicity": 8,
  "charge": 0,
  "homo_ev": [-7.678, -7.660],
  "s2": 16.0281,
  "e_lumo_ev": [0.49, -3.01],
  "de_lowest_ev": 0.000,
  "species": ["H", "C", "C", "H", "H", "P", "H", "O", "C", "C", "C", "C", "C", "H", "C", "H", "H", "H", "C", "O", "Cl", "O", "C", "Cl", "H", "As", "Gd", "C", "C", "C", "C", "N", "H", "C", "H", "C", "H", "H", "Cl", "C", "H", "H", "H", "H", "H", "S", "H", "C", "C", "H", "H", "H", "H", "C", "O", "H", "C", "H", "C", "H", "O", "N", "H", "C", "O", "C", "H", "C", "C", "C", "O", "H", "H", "H", "H", "C", "C", "S", "H", "H", "H", "C", "C", "C", "C", "C", "C", "C", "C", "H"],
  "coordinates": [[-2.38842, 6.39132, 3.23279], [4.61420, 2.20228, -0.75190], [-5.19616, -0.13642, 0.18622], [1.50040, -0.75256, -3.37337], [-5.40237, -1.17878, -0.01111], [2.34264, -1.18357, -0.76424], [1.37569, 5.66737, 4.38402], [-0.28693, -1.09865, -1.77131], [-2.18310, 2.12636, 0.34903], [1.96699, -1.72894, -3.40462], [3.50351, -4.03350, 1.93977], [-0.85742, 3.57958, 1.59012], [-3.36796, -2.52614, -3.55791], [2.15933, -3.92937, 0.29087], [2.58045, -3.70300, -4.61018], [4.94668, -1.30607, -2.33428], [-0.31582, 6.14043, 4.20992], [0.11867, 4.42891, 4.30947], [-4.62427, 2.54343, 0.64261], [-2.19104, 0.12643, -2.61719], [0.96217, -0.68855, 2.75953], [-1.23850, 1.48590, -0.21296], [-3.88799, 0.32047, 0.06403], [2.13739, 1.61186, 0.24990], [-5.08446, -5.01264, -2.05255], [-0.97853, -3.28814, -0.01056], [-0.39079, -0.38195, 0.22223], [4.84751, -0.32016, -1.90699], [-2.25804, -3.21572, -1.54458], [-2.32322, -2.40342, -2.65338], [3.22631, -2.07797, 0.56521], [-2.01223, 3.23347, 1.02960], [-2.55940, -3.44082, 1.68012], [-4.37703, -3.44696, -3.34451], [-3.17164, 4.98903, 2.49036], [-0.44718, -0.28206, 3.75346], [5.37636, -1.47911, 3.10561], [-0.27842, 0.69865, 4.20380], [-1.82779, -0.14641, 2.65550], [2.51659, -2.25577, -2.23647], [-2.00349, 5.48213, 0.34071], [-3.51442, 6.62204, 1.89087], [1.38918, 4.63564, 2.17589], [4.85067, -3.84662, 3.59444], [-6.71707, 2.76662, 1.00706], [-1.22182, -0.97458, -2.95466], [-0.63249, -1.07031, 4.48127], [-6.20081, 0.74154, 0.54817], [2.00041, -2.44500, -4.58465], [3.62013, -3.89941, -1.40346], [-5.21341, -3.50904, -4.02551], [6.71606, 0.37921, -2.67709], [3.61854, -5.19393, -3.48203], [3.60354, 1.26515, -0.62236], [-2.89106, -0.55025, -0.30723], [4.53654, 3.16531, -0.27127], [3.15631, -4.21850, -3.46297], [-4.39293, 3.58458, 0.80069], [3.71126, -0.00928, -1.17223], [2.58937, -4.27629, -5.52450], [0.29587, -2.32454, 0.39517], [-0.60147, 4.88691, 1.73386], [1.57263, -2.02516, -5.48311], [4.39905, -3.35150, 2.74776], [-0.74473, -4.85671, 0.30312], [0.42618, 5.39932, 3.93175], [6.52726, 2.59508, -1.61426], [-1.60116, 5.83695, 1.29348], [-3.59349, 1.66972, 0.30709], [4.69680, -2.02846, 2.47208], [-2.11207, -2.68311, 1.29071], [-3.38370, -1.87410, -4.41813], [3.24990, -5.05996, 2.15590], [-2.62869, -0.23003, -1.26806], [0.84663, 6.32402, 2.02602], [4.11704, -1.39544, 1.38887], [-2.74497, 5.97030, 2.29666], [0.15444, 2.41304, 2.27297], [-1.11671, 6.80346, 1.13667], [-7.21641, 0.38963, 0.65063], [4.36923, -0.36523, 1.18766], [-5.92001, 2.08342, 0.75677], [3.14078, -3.49521, -2.28186], [-3.25145, -4.17394, -1.35371], [-4.31069, -4.28020, -2.23668], [5.84469, 0.62268, -2.08735], [0.58647, 5.33787, 2.41720], [2.90834, -3.40095, 0.86434], [5.73598, 1.87076, -1.49718], [-3.17643, -4.83644, -0.49559]],
- - -
Brief
Restate every line earlier on that contains the word "homo_ev", please.
Solution
  "homo_ev": [-7.678, -7.660],